
版本 11

要升级到版本 11,请运行以下命令:

¥To upgrade to version 11, run the following command:

npm i next@11 react@17 react-dom@17
yarn add next@11 react@17 react-dom@17
pnpm up next@11 react@17 react-dom@17
bun add next@11 react@17 react-dom@17

很高兴知道:如果你使用的是 TypeScript,请确保还将 @types/react@types/react-dom 升级到相应的版本。

¥Good to know: If you are using TypeScript, ensure you also upgrade @types/react and @types/react-dom to their corresponding versions.

Webpack 5

Webpack 5 现在是所有 Next.js 应用的默认版本。如果你没有自定义 webpack 配置,则你的应用已经在使用 webpack 5。如果你确实有自定义 webpack 配置,可以参考 Next.js webpack 5 文档 获取升级指南。

¥Webpack 5 is now the default for all Next.js applications. If you did not have a custom webpack configuration, your application is already using webpack 5. If you do have a custom webpack configuration, you can refer to the Next.js webpack 5 documentation for upgrade guidance.

现在默认清洁 distDir

¥Cleaning the distDir is now a default

现在默认情况下会清除构建输出目录(默认为 .next),但 Next.js 缓存除外。你可以参考 清洁 distDir RFC 了解更多信息。

¥The build output directory (defaults to .next) is now cleared by default except for the Next.js caches. You can refer to the cleaning distDir RFC for more information.

如果你的应用以前依赖此行为,你可以通过在 next.config.js 中添加 cleanDistDir: false 标志来禁用新的默认行为。

¥If your application was relying on this behavior previously you can disable the new default behavior by adding the cleanDistDir: false flag in next.config.js.

PORT 现在支持 next devnext start

¥PORT is now supported for next dev and next start

Next.js 11 支持 PORT 环境变量来设置应用运行的端口。仍然建议使用 -p/--port,但如果你被禁止以任何方式使用 -p,你现在可以使用 PORT 作为替代:

¥Next.js 11 supports the PORT environment variable to set the port the application runs on. Using -p/--port is still recommended but if you were prohibited from using -p in any way you can now use PORT as an alternative:



PORT=4000 next start

# Unrelated to this piece: data records
/*
Entry 1
Eu2MgVO4: optimized geometry, PBE with a Hubbard U.

Calculated values
Magnetization: 2.127 μB/atom

abc: 4.087 4.087 7.398
angles: 106.03 106.03 90.00
Fractional coordinates of all 8 atoms:
O (0.490, 0.990, 0.979)
O (0.808, 0.808, 0.616)
O (0.010, 0.510, 0.021)
O (0.192, 0.192, 0.384)
Eu (0.612, 0.612, 0.223)
Eu (0.388, 0.388, 0.777)
Mg (0.250, 0.750, 0.500)
V (0.000, 0.000, 0.000)

=====

Entry 2
Eu2MgVO4: optimized geometry, PBE with a Hubbard U.

Calculated values
Magnetization: 2.099 μB/atom

abc: 3.934 3.934 10.044
angles: 101.30 101.30 90.00
Fractional coordinates of all 8 atoms:
O (0.197, 0.197, 0.395)
O (0.803, 0.803, 0.605)
O (0.500, 0.000, 0.000)
O (0.000, 0.500, 0.000)
Mg (0.500, 0.500, 0.000)
Eu (0.687, 0.687, 0.375)
Eu (0.313, 0.313, 0.625)
V (0.000, 0.000, 0.000)

=====

Most stable = entry 2

=====

Entry 1
EuMgVO3: optimized geometry, PBE with a Hubbard U.

Calculated values
Magnetization: 1.638 μB/atom

abc: 4.080 7.124 3.360
angles: 91.83 90.10 95.59
Fractional coordinates of all 6 atoms:
Eu (0.936, 0.072, 0.984)
Mg (0.039, 0.562, 0.018)
O (0.476, 0.092, 0.478)
O (0.533, 0.523, 0.013)
O (0.010, 0.383, 0.505)
V (0.505, 0.368, 0.502)

=====

Entry 2
EuMgVO3: optimized geometry, PBE with a Hubbard U.

Calculated values
Magnetization: 1.665 μB/atom

abc: 4.417 4.478 4.419
angles: 98.67 98.18 81.28
Fractional coordinates of all 6 atoms:
O (0.528, 0.027, 0.474)
O (0.031, 0.527, 0.475)
O (0.526, 0.523, 0.970)
Mg (0.243, 0.244, 0.755)
V (0.539, 0.538, 0.462)
Eu (0.884, 0.875, 0.113)

=====

Most stable = entry 1

=====

Entry 1
SrSmEuVO6: optimized geometry, PBE with a Hubbard U.

Calculated values
Magnetization: 0.677 μB/atom

abc: 8.558 8.561 8.568
angles: 90.00 90.00 90.00
Fractional coordinates of all 40 atoms:
O (0.476, 0.709, 0.783)
O (0.215, 0.477, 0.293)
O (0.215, 0.523, 0.707)
O (0.785, 0.523, 0.293)
O (0.476, 0.291, 0.217)
O (0.791, 0.283, 0.977)
O (0.977, 0.209, 0.716)
O (0.708, 0.215, 0.522)
O (0.023, 0.791, 0.716)
O (0.524, 0.291, 0.783)
O (0.209, 0.717, 0.977)
O (0.292, 0.785, 0.522)
O (0.977, 0.791, 0.284)
O (0.716, 0.023, 0.791)
O (0.292, 0.215, 0.478)
O (0.524, 0.709, 0.217)
O (0.785, 0.477, 0.707)
O (0.023, 0.209, 0.284)
O (0.284, 0.977, 0.791)
O (0.716, 0.977, 0.209)
O (0.284, 0.023, 0.209)
O (0.791, 0.717, 0.023)
O (0.209, 0.283, 0.023)
O (0.708, 0.785, 0.478)
Sr (0.000, 0.500, 0.000)
Sr (0.500, 0.000, 0.000)
Sr (0.500, 0.500, 0.000)
Sr (0.000, 0.000, 0.500)
Eu (0.000, 0.500, 0.500)
Eu (0.000, 0.000, 0.000)
Eu (0.500, 0.500, 0.500)
Eu (0.500, 0.000, 0.500)
V (0.250, 0.751, 0.751)
V (0.250, 0.249, 0.249)
V (0.750, 0.751, 0.249)
V (0.750, 0.249, 0.751)
Sm (0.750, 0.751, 0.751)
Sm (0.750, 0.249, 0.249)
Sm (0.250, 0.751, 0.249)
Sm (0.250, 0.249, 0.751)

=====

Entry 2
SrSmEuVO6: optimized geometry, PBE with a Hubbard U.

Calculated values
Magnetization: 0.699 μB/atom

abc: 5.848 5.848 5.848
angles: 60.00 60.00 60.00
Fractional coordinates of all 10 atoms:
Sr (0.250, 0.250, 0.250)
Sm (0.000, 0.000, 0.000)
*/

next.config.js 自定义导入图片

¥next.config.js customization to import images

Next.js 11 支持使用 next/image 导入静态图片。这项新功能依赖于处理图片导入的能力。如果你之前添加了 next-imagesnext-optimized-images 软件包,你可以使用 next/image 移动到新的内置支持或禁用该功能:

¥Next.js 11 supports static image imports with next/image. This new feature relies on being able to process image imports. If you previously added the next-images or next-optimized-images packages you can either move to the new built-in support using next/image or disable the feature:

module.exports = {
images: {
disableStaticImages: true,

pages/_app.js 中删除 super.componentDidCatch()

¥Remove super.componentDidCatch() from pages/_app.js

next/app 组件的 componentDidCatch 在 Next.js 9 中已被弃用,因为不再需要它并且从此成为无操作。在 Next.js 11 中,它被删除了。

¥The next/app component's componentDidCatch was deprecated in Next.js 9 as it's no longer needed and has since been a no-op. In Next.js 11, it was removed.

如果你的 pages/_app.js 有自定义 componentDidCatch 方法,你可以删除 super.componentDidCatch,因为不再需要它。

¥If your pages/_app.js has a custom componentDidCatch method you can remove super.componentDidCatch as it is no longer needed.

pages/_app.js 中删除 Container

¥Remove Container from pages/_app.js

此导出在 Next.js 9 中已被弃用,因为不再需要它,并且此后在开发过程中成为无操作并发出警告。在 Next.js 11 中它被删除了。

¥This export was deprecated in Next.js 9 as it's no longer needed and has since been a no-op with a warning during development. In Next.js 11 it was removed.

如果你的 pages/_app.jsnext/app 导入 Container,你可以将 Container 删除,因为它已被删除。在 文档 中了解更多信息。

¥If your pages/_app.js imports Container from next/app you can remove Container as it was removed. Learn more in the documentation.

从页面组件中删除 props.url 使用

¥Remove props.url usage from page components

该属性在 Next.js 4 中已弃用,并在开发过程中显示警告。随着 getStaticProps / getServerSideProps 的引入,这些方法已经禁止使用 props.url。在 Next.js 11 中,它被完全删除。

¥This property was deprecated in Next.js 4 and has since shown a warning during development. With the introduction of getStaticProps / getServerSideProps these methods already disallowed the usage of props.url. In Next.js 11, it was removed completely.

你可以在 文档 中了解更多信息。

¥You can learn more in the documentation.

删除 next/image 上的 unsized 属性

¥Remove unsized property on next/image

Next.js 10.0.1 中已弃用 next/image 上的 unsized 属性。你可以使用 layout="fill" 代替。在 Next.js 11 unsized 中被删除。

¥The unsized property on next/image was deprecated in Next.js 10.0.1. You can use layout="fill" instead. In Next.js 11 unsized was removed.

删除 next/dynamic 上的 modules 属性

¥Remove modules property on next/dynamic

Next.js 9.5 中已弃用 next/dynamicmodulesrender 选项。这样做是为了使 next/dynamic API 更接近 React.lazy。在 Next.js 11 中,删除了 modulesrender 选项。

¥The modules and render option for next/dynamic were deprecated in Next.js 9.5. This was done in order to make the next/dynamic API closer to React.lazy. In Next.js 11, the modules and render options were removed.

自 Next.js 8 以来,文档中未提及此选项,因此你的应用使用它的可能性较小。

¥This option hasn't been mentioned in the documentation since Next.js 8 so it's less likely that your application is using it.

如果你的应用确实使用了 modulesrender,你可以参考 文档

¥If your application does use modules and render you can refer to the documentation.

删除 Head.rewind

¥Remove Head.rewind

自 Next.js 9.5 以来,Head.rewind 一直是无操作,在 Next.js 11 中它被删除。你可以安全地删除对 Head.rewind 的使用。

¥Head.rewind has been a no-op since Next.js 9.5, in Next.js 11 it was removed. You can safely remove your usage of Head.rewind.

默认情况下排除 Moment.js 区域设置

¥Moment.js locales excluded by default

Moment.js 默认包含许多语言环境的翻译。Next.js 现在默认自动排除这些区域设置,以优化使用 Moment.js 的应用的包大小。

¥Moment.js includes translations for a lot of locales by default. Next.js now automatically excludes these locales by default to optimize bundle size for applications using Moment.js.


¥To load a specific locale use this snippet:

import moment from 'moment'
import 'moment/locale/ja'


如果你不想要新行为,你可以通过将 excludeDefaultMomentLocales: false 添加到 next.config.js 来选择退出此新默认设置,请注意,强烈建议不要禁用此新优化,因为它会显着减小 Moment.js 的大小。

¥You can opt-out of this new default by adding excludeDefaultMomentLocales: false to next.config.js if you do not want the new behavior, do note it's highly recommended to not disable this new optimization as it significantly reduces the size of Moment.js.

更新 router.events 的使用情况

¥Update usage of router.events

如果你在渲染期间访问 router.events,则在 Next.js 11 中,预渲染期间不再提供 router.events。确保你正在 useEffect 中访问 router.events

¥In case you're accessing router.events during rendering, in Next.js 11 router.events is no longer provided during pre-rendering. Ensure you're accessing router.events in useEffect:

useEffect(() => {
const handleRouteChange = (url, { shallow }) => {
`App is changing to ${url} ${
shallow ? 'with' : 'without'
} shallow routing`

router.events.on('routeChangeStart', handleRouteChange)

// If the component is unmounted, unsubscribe
// from the event with the `off` method:
return () => {
router.events.off('routeChangeStart', handleRouteChange)
}, [router])

如果你的应用使用 router.router.events,这是一个非公开的内部属性,请确保也使用 router.events

¥If your application uses router.router.events which was an internal property that was not public please make sure to use router.events as well.

1.
# Na3Al3Ge3O16, optimized geometry, DFT GGA-PBE
data_Na3Al3Ge3O16
_cell_length_a 13.1033
_cell_length_b 13.1033
_cell_length_c 15.8129
_cell_angle_alpha 90.00
_cell_angle_beta 90.00
_cell_angle_gamma 120.00
_space_group_name_H-M_alt 'R 3 c'
_space_group_IT_number 161
_space_group_name_Hall 'R 3 -2"c'
loop_
_atom_site_label
_atom_site_type_symbol
_atom_site_fract_x
_atom_site_fract_y
_atom_site_fract_z
Na1 Na 0.2090 0.4189 0.0000
Al1 Al 0.0014 0.2478 0.6467
Ge1 Ge 0.0002 0.2480 0.1469
O1 O 0.0000 0.0000 0.3379
O2 O 0.0031 0.2882 0.7542
O3 O 0.0030 0.2895 0.2540
O4 O 0.0472 0.5228 0.7766
O5 O 0.0524 0.1049 0.4149
O6 O 0.1916 0.0955 0.1432
# Energy of formation, meV per atom: -2004
# Crystal system: trigonal
# Volume, A^3/atom: 15.7
# E (MP2020), eV/atom: -6.33



2.
# H14RhC6NClO4, optimized geometry, DFT GGA-PBE
data_H14RhC6NClO4
_cell_length_a 9.335
_cell_length_b 11.236
_cell_length_c 12.051
_cell_angle_alpha 88.08
_cell_angle_beta 86.21
_cell_angle_gamma 66.90
_space_group_name_H-M_alt 'P -1'
_space_group_IT_number 2
_space_group_name_Hall '-P 1'
loop_
_atom_site_label
_atom_site_type_symbol
_atom_site_fract_x
_atom_site_fract_y
_atom_site_fract_z
H1 H 0.004 0.453 0.183
H2 H 0.044 0.825 0.360
H3 H 0.053 0.808 0.679
H4 H 0.063 0.600 0.014
H5 H 0.070 0.889 0.551
H6 H 0.074 0.392 0.469
H7 H 0.088 0.236 0.696
H8 H 0.117 0.685 0.276
H9 H 0.142 0.386 0.835
H10 H 0.160 0.482 0.717
H11 H 0.184 0.886 0.665
H12 H 0.188 0.634 0.848
H13 H 0.198 0.298 0.358
H14 H 0.201 0.434 0.018
H15 H 0.217 0.238 0.499
H16 H 0.259 0.961 0.365
H17 H 0.264 0.564 0.033
H18 H 0.330 0.007 0.181
H19 H 0.331 0.485 0.848
H20 H 0.349 0.183 0.777
H21 H 0.387 0.843 0.201
H22 H 0.403 0.030 0.363
H23 H 0.405 0.013 0.805
H24 H 0.417 0.116 0.910
H25 H 0.440 0.692 0.815
H26 H 0.458 0.858 0.386
H27 H 0.471 0.224 0.107
H28 H 0.474 0.655 0.958
Rh1 Rh 0.060 0.062 0.046
Rh2 Rh 0.483 0.545 0.406
C1 C 0.012 0.861 0.184
C2 C 0.020 0.780 0.288
C3 C 0.120 0.485 0.805
C4 C 0.133 0.830 0.619
C5 C 0.183 0.533 0.992
C6 C 0.193 0.323 0.446
C7 C 0.263 0.708 0.576
C8 C 0.282 0.831 0.932
C9 C 0.306 0.386 0.465
C10 C 0.381 0.945 0.343
C11 C 0.429 0.098 0.821
C12 C 0.441 0.734 0.896
N1 N 0.212 0.538 0.870
N2 N 0.409 0.924 0.221
Cl1 Cl 0.187 0.199 0.142
Cl2 Cl 0.444 0.634 0.199
O1 O 0.049 0.166 0.899
O2 O 0.066 0.949 0.186
O3 O 0.163 0.810 0.904
O4 O 0.274 0.927 0.990
O5 O 0.300 0.704 0.471
O6 O 0.329 0.619 0.647
O7 O 0.333 0.453 0.385
O8 O 0.365 0.367 0.561
# Energy of formation, meV per atom: -575
# Crystal system: triclinic
# Volume, A^3/atom: 10.7
# E (MP2020), eV/atom: -5.77
### Back to the article

React 16 至 17

¥React 16 to 17

React 17 引入了新的 JSX 变换,为更广泛的 React 生态系统带来了长期存在的 Next.js 功能:使用 JSX 时不必 import React from 'react'。使用 React 17 时,Next.js 将自动使用新的转换。此转换不会使 React 变量成为全局变量,这是先前 Next.js 实现的意外副作用。代码模式可用 自动修复你不小心使用 React 而不导入它的情况。

¥React 17 introduced a new JSX Transform that brings a long-time Next.js feature to the wider React ecosystem: Not having to import React from 'react' when using JSX. When using React 17 Next.js will automatically use the new transform. This transform does not make the React variable global, which was an unintended side-effect of the previous Next.js implementation. A codemod is available to automatically fix cases where you accidentally used React without importing it.

大多数应用已经使用最新版本的 React,Next.js 11 的最低 React 版本已更新至 17.0.2。

¥Most applications already use the latest version of React, with Next.js 11 the minimum React version has been updated to 17.0.2.


¥To upgrade you can run the following command:

npm install react@latest react-dom@latest

或者使用 yarn

¥Or using yarn:

yarn add react@latest react-dom@latest